Wednesday, June 24, 2009

Our River Trip

Here is naked Crash, trying to beat the heat. Don't know if you keep up with the weather nationwide, but in Arizona, it was 110 degrees today. I just about melted. Needless to say, Crash, Gavin and I spend a lot of time indoors.

What did Gavin do at the river? Eat, Slept, and Pooped. Well, he did do more then that, he's finally getting to an age where there is some personality. But this picture was too cute to pass up. He's wearing his aloha shirt for the first time.

Liz and Kim on the Sea-doo. Kim drove so slow in the beginning. It took him awhile to warm up to the watercraft. But once he did, there was no stopping him!

What comes next are records of molecules, not part of the piece >
........
5 unconnected molecules or ions with the total composition C22H47F3N4O20P4S2 at a distorted geometry, computed with the ωB97M-V functional and the def2-TZVPD basis.

Properties
Highest occupied orbital energy, eV: -9.284
Kohn-Sham gap, eV: 7.361
Structure (SMILES): C[C@@H](COC(=O)CSc1nnc(C(F)(F)F)nn1)OC(=O)CS.COP(=O)(OC)OC.COP(=O)(OC)OC.COP(=O)(OC)OC.COP(=O)(OC)OC

```
! wB97M-V def2-TZVPD RIJCOSX def2/J DEFGRID3
* xyz 0 1
C -0.79 -2.04 4.76
C -1.08 -1.02 3.68
C -2.54 -0.54 3.64
O -3.38 -1.40 4.41
C -4.69 -1.27 4.12
O -5.33 -2.24 3.86
C -5.34 0.10 4.19
S -5.57 0.88 2.55
C -4.38 2.22 2.64
N -4.83 3.35 3.19
N -3.96 4.33 3.29
C -2.74 4.08 2.85
C -1.73 5.21 3.05
F -0.82 5.23 2.07
F -1.05 4.95 4.19
F -2.30 6.39 3.14
N -2.29 2.98 2.27
N -3.16 2.00 2.16
O -0.15 0.07 3.60
C -0.07 0.88 4.65
O -0.78 0.86 5.63
C 0.99 1.95 4.49
S 2.48 1.42 3.61
H -1.34 -2.95 4.58
H 0.27 -2.27 4.68
H -0.97 -1.66 5.76
H -0.96 -1.57 2.74
H -2.59 0.49 3.98
H -2.89 -0.58 2.61
H -6.31 0.01 4.66
H -4.73 0.75 4.81
H 0.57 2.78 3.93
H 1.26 2.32 5.48
H 2.43 2.07 2.45
C 6.31 2.59 -2.22
O 5.35 1.67 -1.69
P 5.75 0.84 -0.32
O 6.99 0.13 -0.78
O 4.38 -0.01 -0.51
C 4.27 -0.90 -1.62
O 5.81 0.42 1.28
C 5.42 -0.91 1.64
H 5.77 3.32 -2.83
H 6.84 3.13 -1.44
H 7.03 2.05 -2.84
H 5.25 -1.22 -1.98
H 3.73 -0.42 -2.44
H 3.71 -1.77 -1.29
H 5.84 -1.62 0.93
H 4.34 -1.01 1.67
H 5.81 -1.12 2.63
C -1.46 3.89 -0.71
O -0.91 3.47 -1.97
P -1.95 2.93 -3.11
O -2.64 1.80 -2.43
O -0.75 2.52 -4.10
C 0.04 1.37 -3.79
O -2.97 3.38 -4.26
C -2.99 2.61 -5.47
H -0.75 4.56 -0.25
H -2.41 4.41 -0.84
H -1.61 3.02 -0.08
H -0.49 0.66 -3.16
H 0.96 1.68 -3.28
H 0.30 0.88 -4.73
H -3.00 1.54 -5.25
H -2.15 2.85 -6.12
H -3.91 2.88 -5.98
C 2.97 3.00 -6.30
O 2.58 3.17 -7.68
P 1.03 2.76 -8.10
O 1.13 1.32 -7.69
O 1.35 3.08 -9.64
C 2.34 2.30 -10.32
O -0.60 2.77 -8.30
C -1.13 2.24 -9.51
H 3.81 3.66 -6.11
H 2.16 3.25 -5.62
H 3.27 1.96 -6.14
H 2.46 1.32 -9.84
H 3.29 2.82 -10.32
H 2.00 2.16 -11.34
H -0.65 1.29 -9.74
H -1.02 2.94 -10.33
H -2.19 2.08 -9.32
C -3.34 -5.78 5.31
O -2.78 -7.11 5.27
P -1.16 -7.22 5.64
O -0.72 -6.27 4.57
O -1.20 -8.79 5.24
C -1.54 -9.16 3.90
O 0.28 -7.39 6.40
C 1.25 -8.26 5.83
H -4.42 -5.87 5.40
H -2.95 -5.22 6.15
H -3.10 -5.27 4.38
H -1.32 -8.34 3.21
H -2.59 -9.42 3.84
H -0.93 -10.02 3.64
H 1.33 -8.09 4.76
H 1.02 -9.30 6.04
H 2.20 -8.01 6.31
*
```
........

Getting ready to hit the river! Kim and Liz on the Sea-doo.

This is Taco and Christina on the Sea-doo.
The River was so much fun. We are definetly going to go back soon. Just after the job situation is a little more successful.

_Records of molecules from another source follow_
┌──
--- a ---
{
  "formula": "C6H10N2",
  "method": "ωB97M-V/def2-TZVPD",
  "gap_ev": 9.2737,
  "homo_energy_ha": -0.3073,
  "species": ["N", "C", "C", "C", "C", "C", "N", "C", "H", "H", "H", "H", "H", "H", "H", "H", "H", "H"],
  "coordinates": [[1.854, -0.892, -0.284], [0.566, -0.458, -0.672], [-0.382, -1.317, 0.347], [-1.768, -0.737, -0.172], [-1.459, 0.534, -0.549], [-0.016, 0.714, -0.017], [0.519, 1.991, 0.000], [-0.091, -0.068, 1.394], [2.619, 0.057, -0.565], [2.372, -1.683, -1.012], [0.311, -0.410, -1.846], [-0.176, -2.145, 1.064], [-2.554, -1.505, -0.794], [-1.997, 1.256, -1.333], [1.500, 2.159, 0.505], [-0.179, 2.816, 0.065], [-0.653, 0.263, 2.350], [1.042, -0.506, 1.566]]
}

--- b ---
{
  "formula": "C6H10N2",
  "method": "ωB97M-V/def2-TZVPD",
  "gap_ev": 10.2213,
  "homo_energy_ha": -0.3764,
  "species": ["H", "N", "C", "C", "N", "H", "C", "C", "C", "C", "H", "H", "H", "H", "H", "H", "H", "H"],
  "coordinates": [[1.342, -1.173, -2.464], [1.745, -0.619, -1.711], [1.895, -1.217, -0.616], [2.435, -0.535, 0.512], [2.855, -0.036, 1.452], [1.647, -2.268, -0.401], [-0.586, 1.442, -0.782], [-0.611, 0.748, 0.554], [-1.904, 0.250, 1.120], [-0.875, -0.727, 0.632], [-0.819, 2.497, -0.652], [0.393, 1.356, -1.247], [-1.327, 1.011, -1.455], [0.109, 1.143, 1.260], [-2.070, 0.327, 2.184], [-2.799, 0.374, 0.530], [-0.345, -1.315, 1.367], [-1.085, -1.258, -0.284]]
}

--- c ---
{
  "formula": "C6H10N2",
  "method": "ωB97M-V/def2-TZVPD",
  "gap_ev": 10.6217,
  "homo_energy_ha": -0.3525,
  "species": ["C", "C", "C", "C", "C", "C", "N", "N", "H", "H", "H", "H", "H", "H", "H", "H", "H", "H"],
  "coordinates": [[-1.150, -2.038, 2.107], [-0.428, -1.326, 1.443], [0.716, -0.589, 0.995], [0.375, 0.763, 0.167], [-0.493, 0.553, -1.145], [-0.084, -0.449, -2.246], [1.209, 1.876, 0.351], [-0.020, 1.707, 1.132], [-1.860, -2.709, 2.675], [1.292, -0.378, 1.873], [1.291, -1.334, 0.380], [-1.397, 0.176, -0.577], [-0.806, 1.512, -1.443], [-0.801, -0.264, -3.094], [-0.135, -1.497, -1.849], [0.967, -0.145, -2.490], [2.031, 1.760, 0.941], [-0.705, 2.384, 0.780]]
}

--- d ---
{
  "formula": "C6H10N2",
  "method": "ωB97M-V/def2-TZVPD",
  "gap_ev": 10.2166,
  "homo_energy_ha": -0.3427,
  "species": ["H", "N", "C", "C", "N", "C", "C", "C", "C", "H", "H", "H", "H", "H", "H", "H", "H", "H"],
  "coordinates": [[-1.632, 0.388, -1.953], [-2.167, 0.411, -1.079], [-1.340, 0.793, -0.170], [-1.765, 1.049, 1.241], [-0.055, 1.055, -0.533], [0.794, 0.077, -0.569], [2.195, 0.395, -1.037], [0.530, -1.353, -0.249], [0.363, -1.736, 1.021], [-0.898, 1.202, 1.888], [-2.348, 0.200, 1.609], [-2.391, 1.945, 1.268], [2.194, 0.491, -2.127], [2.528, 1.338, -0.595], [2.895, -0.394, -0.748], [0.514, -2.052, -1.076], [0.179, -2.778, 1.262], [0.404, -1.032, 1.847]]
}

Most stable of them? d.

--- a ---
{
  "formula": "C6H10N2",
  "method": "ωB97M-V/def2-TZVPD",
  "gap_ev": [7.8246, 7.8233],
  "homo_energy_ha": [-0.2862, -0.2862],
└──

BTW, we had this thought while driving out to Laughlin. Gavin has been to Hawaii, California, Arizona, Florida, Nevada, with layovers in Georgia and Texas. That's 7 states. Not bad for a kid that's only 2.5 months old.
So we made it with Gavin 10 weeks now. Its had its ups and downs. Gavin still doesn't sleep through the night. I've thought about giving up breastfeeding 100 times, but still haven't done it yet. And we made it though our first round of shots. Thank you to all of our family and friends that have supported us with Gavin accessories, baby advice for Kim and I, and your love. We really appreciate it during these tough times.
Write again later.

Thursday, June 18, 2009

Gavin's 2 months old

So today we had Gavin's 2 month old well baby visit.

Oh my gosh my heart broke when they gave him shots. 5! 5 shots today. My son is not a pin cushion thank you very much! I hate that they have to immunize today's children! The whole time (whole time being appro. 15 seconds long) I wanted to scream "Stop! Stop! we'll finish the rest tomorrow." He just kept crying and crying. The pediatrician's office knew what they were doing though. They had 2 girls giving the shots at the same time. So one girl had 3 shots the other had 2, and they were going at the same time to get it over with faster. Oh it was just heart wrenching. And I have to do this again at 4 months, 6 months and a year. Screw that, Kim can take him to the dr. appts from here on out. That was really hard.

But growth wise, our little chunky monkey, is now 13.5 pounds. He can have a whole drop of baby tylenol for his pain tonight with the shots! A whole drop! He is 25 inches long. His head has grown to 16 inches around. He placed above the 95% on his height, above 75% on his weight, and above 80% on his head size. So he's all in all, a healthy baby boy.

Entry 1:
This record from OMol25 describes the molecule CH3Br2PS at a distorted geometry. The level of theory is the ωB97M-V functional and the def2-TZVPD basis.

```
8
Properties=species:S:1:pos:R:3:forces:R:3:lowdin_charge:R:1
C 0.2656 -0.1936 0.0664 2.94 0.47 -0.34 -0.142
P 2.4633 -0.0624 0.6547 -3.22 0.45 0.36 -0.417
S 2.7789 -0.3105 2.5581 0.20 0.30 -1.38 0.102
Br 3.1972 -1.6465 -0.7122 0.01 0.34 0.19 0.258
Br 3.1186 1.8883 -0.4021 -0.24 -1.09 0.63 0.182
H -0.5323 0.2497 0.6500 0.52 -0.15 0.97 0.018
H 0.3166 0.4332 -0.8360 0.12 -0.92 -0.12 0.002
H 0.2689 -1.2885 -0.0157 -0.33 0.60 -0.31 -0.002
```
Positions in Å, forces in eV/Å.

Computed properties:
**Energy relative to the best compared isomer or geometry (same formula, charge and spin)**: 128.7 kJ/mol
**SMILES**: CP(=S)(Br)Br
**F_max**: 3.271 eV/Å
**Total energy**: -161295.0722 eV



Entry 2:
This record from OMol25 describes a cluster of 5 separate species, C6H20BrO4 in total at a distorted geometry. The level of theory is the ωB97M-V functional and the def2-TZVPD basis.

```
31
Properties=species:S:1:pos:R:3:forces:R:3:lowdin_charge:R:1
Br 12.8771 -3.3970 22.1835 0.05 -0.20 -0.13 -0.024
C 11.1823 -0.7527 19.2445 0.65 -0.86 -0.85 -0.061
C 12.5742 -0.2351 19.5456 0.34 1.36 0.74 -0.503
C 12.7518 1.2172 19.0645 -0.02 -0.51 0.28 -0.075
O 12.7507 -0.2262 20.9676 0.11 -0.28 -0.41 -0.119
H 11.1287 -1.8147 19.4977 -0.17 0.15 0.43 0.052
H 10.9648 -0.7443 18.1683 -0.08 0.38 0.12 0.075
H 10.4779 -0.1574 19.8157 -0.23 -0.07 -0.02 0.083
H 13.4291 -0.7532 19.0975 -0.49 -0.67 -0.18 0.135
H 12.1414 1.9092 19.6474 -0.19 -0.08 -0.09 0.074
H 12.4807 1.2489 18.0079 0.06 0.28 -0.01 0.068
H 13.7917 1.5173 19.2000 0.00 0.02 -0.11 0.069
H 12.7616 -1.1640 21.2521 0.05 0.27 0.17 -0.082
C 13.8785 -7.1052 23.5835 0.55 0.06 0.20 -0.205
O 12.5579 -6.6939 23.3613 0.07 0.16 -0.13 -0.155
H 13.9035 -8.1915 23.6780 -0.13 -0.02 0.06 0.068
H 14.5815 -6.8374 22.7845 -0.25 0.05 -0.18 0.063
H 14.3009 -6.6657 24.4978 -0.08 -0.10 0.07 0.070
H 12.5909 -5.7548 23.1059 -0.16 -0.06 -0.02 -0.054
C 10.7138 -5.0547 19.1903 0.52 -0.44 0.18 -0.180
O 11.0779 -5.6347 20.4341 0.10 0.36 -0.24 -0.188
H 10.3668 -4.0314 19.3366 -0.15 0.05 -0.23 0.060
H 11.5684 -5.0693 18.5018 0.00 0.29 -0.03 0.065
H 9.9501 -5.6779 18.7245 -0.24 0.11 0.17 0.069
H 11.6650 -4.9758 20.8661 -0.28 -0.34 0.14 -0.086
C 14.3378 -6.1422 19.3029 0.56 -0.05 0.34 -0.185
O 14.4176 -4.7323 19.3666 -0.15 -0.13 -0.13 -0.169
H 14.9154 -6.5887 20.1249 -0.23 -0.09 0.06 0.067
H 13.3112 -6.5111 19.3422 -0.02 -0.03 -0.03 0.062
H 14.8395 -6.4842 18.3959 -0.21 0.16 -0.18 0.068
H 14.0096 -4.4586 20.2060 0.02 0.24 0.00 -0.062
```
Positions in Å, forces in eV/Å.

Computed properties:
**Energy relative to the best compared isomer or geometry (same formula, charge and spin)**: 20.4 kJ/mol
**F_max**: 1.589 eV/Å
**Total energy**: -84781.0737 eV
**Total charge**: -1



Entry 3:

As for Kim and I, we are still unemployed. I have been offered a job as a 2-year old lead teacher at a preschool. They do not offer infant child care discounts, only after they turn a year. So we're still debating on if we should take that job or not. Kim has got a call back from Auto Zone (get in the zone, auto zone!) about more references, but not confirming a job. We decided that if Auto Zone doesn't call back by tomorrow with something, then I'm going to take the preschool teaching job and Kim is gonna have to stay home and be Mr. Mom.

Arizona is freaking hot! We're not adjusting to this well at all. Crash got shaved on Tuesday, so he's naked. And Gavin can't go more than 2 diapers without baby powder or its diaper rash central. We Hamiltons are not designed for 101 degrees and more. But this weekend, Taco and Christina are taking us to Laughlin. So hopefully the river out there will cool us off. Kim and I have been getting a little depressed and frustrated with the job searching. Well Kim more than me, but noneless, we're frustrated. This economy is stupid. Companies are looking for cheap labor, but you know what, there are families out there. Families that need health insurance, families that need diapers, families that need money. And its hard right now to find a job. But we know that God has us in his hands and he's got a plan for us. So we put our faith and trust in Him.

Well check back next week, I'll get some river pictures up, and you've got to see naked Crash. Sorry it took me so long to blog again. You try having a kid and finding time. No, seriously, I promise to be back next week.

Breast milk to the rescue

I think I have stumbled across the greatest cure all medicine. Breastmilk. I am going to put it on every cut, sore, and rash from here on out. Now I know a lot of you are thinking, "thats disgusting" and if you read my blog about my breastfeeding class you'd know, that I was once in those shoes. There was nothing more disgusting to me than breastmilk. Well, I have a story for you that changed my perspective and made me a boobie believer!

So Gavin was about a month old. And he wakes up from a 4 hour period of sleep with a bunch of gunk in his eye. Ok-gunk in the eye.....holy shit pink eye! Thats the first thing that popped into my head. So I start thinking, maybe its just sleepys in his eye, and it will go away. So we wipe it away and go about our day. Until Gavin takes another nap and wakes up with double the gunk, so much now that its stringy between his upper and lower eyelid. Ok, full on pink eye! So I'm thinking in my head, our temporary insurance hasn't kicked in yet, we can't go to the emergency room. He's a month old, his poor little immune system.....oh my gosh, he's going to loose his eye if I don't do something!
So what do you do when you have a burning question and no medical google it on the computer. So we googled. And what did google come back with. Put breastmilk in the eye. My first reaction.....hell no! that's disgusting. But then I saw Gavin's eye, it was awful. I felt like such crap for letting it get this bad and I felt even more like crap because there is something I can do about it, and I haven't. So I give the eye a little juice. What do you know? It like melted all the gunk away within minutes. We put a warm wash cloth on the eye and wiped away remaining gunk. It was amazing. So everytime I fed him for 24 hours I put a little breastmilk in his eye, and the pnk eye never came back.
So I chamged my mind about disgusting boobie juice. If it weren't from breastmilk, my son would have lost his eye. Well maybe not lost his eye, but it would have been bad.